Friday, November 13, 2020

### Unrelated to this entry: crystal structures
+++
PBE-GGA Ac6Zn5Rh, relaxed; calculated volume = 349.9 Å³ per cell; formation enthalpy at 0 K = -29.73 kJ per mole of atoms; symmetry = C2/m (12); density of states at the Fermi level = 8.83 states/eV per cell
1.0
8.6547 -3.8807 0.0000
8.6547 3.8807 0.0000
-1.7396 0.0000 5.2084
Ac Zn Rh
6 5 1
Direct
0.0815 0.5987 0.3407
0.2378 0.7622 0.0000
0.4013 0.9185 0.6593
0.5987 0.0815 0.3407
0.7622 0.2378 0.0000
0.9185 0.4013 0.6593
0.1788 0.1788 0.1777
0.3316 0.3316 0.8323
0.5000 0.5000 0.5000
0.6684 0.6684 0.1677
0.8212 0.8212 0.8223
0.0000 0.0000 0.5000

----------

## BaLa2GeRu (PBE)

Data for a relaxed structure of BaLa2GeRu.

Lattice parameters (Å, degrees): 5.535 5.535 5.121 90.00 90.00 90.00
Space group P4/mmm (No. 123)
Symmetry-distinct sites (fractional):
Ba 0.000 0.000 0.000 x1
La 0.000 0.500 0.500 x2
Ge 0.500 0.500 0.000 x1
Ru 0.500 0.500 0.500 x1

Output
- ΔE_f: -221 meV/atom

----------

This record from the Open Quantum Materials Database describes a geometry-optimized LaGdTl structure. The functional is PBE-GGA.

## Properties
distance to the lowest polymorph of the same formula = 0 meV per atom
space group = No. 216
uncorrected energy = -4.046 eV/atom
total magnetization = 3.8 μB per cell

abc: 7.5306 7.5306 7.5306
angles: 90.00 90.00 90.00
Closest atoms and distances in Å follow each position.
Atoms (fractional coordinates):
La: 0.0000 0.0000 0.0000  4 Tl 3.26
La: 0.0000 0.5000 0.5000  4 Tl 3.26
La: 0.5000 0.0000 0.5000  4 Tl 3.26
La: 0.5000 0.5000 0.0000  4 Tl 3.26
Gd: 0.0000 0.0000 0.5000  4 Tl 3.26
Gd: 0.0000 0.5000 0.0000  4 Tl 3.26
Gd: 0.5000 0.0000 0.0000  4 Tl 3.26
Gd: 0.5000 0.5000 0.5000  4 Tl 3.26
Tl: 0.2500 0.2500 0.7500  4 Gd 3.26, 4 La 3.26
Tl: 0.2500 0.7500 0.2500  4 Gd 3.26, 4 La 3.26
Tl: 0.7500 0.2500 0.2500  4 Gd 3.26, 4 La 3.26
Tl: 0.7500 0.7500 0.7500  4 Gd 3.26, 4 La 3.26

----------

(1)
## YEr4Te2 (GGA-PBE)

Data for crystalline YEr4Te2 at its relaxed geometry.

Lattice parameters (Å, degrees): 5.4023 5.4023 9.3334 73.18 73.18 60.00
Last column: nearest neighbours and their distance in Å.
Element x y z (fractional)
Y 0.5000 0.5000 0.5000  2 Te 3.11, 6 Er 3.24
Er 0.2642 0.2642 0.2074  4 Te 3.11-3.17, 1 Er 3.44
Er 0.7358 0.7358 0.7926  4 Te 3.11-3.17, 1 Er 3.44
Er 0.8661 0.8661 0.4017  3 Y 3.24, 7 Er 3.44-3.57
Er 0.1339 0.1339 0.5983  3 Y 3.24, 7 Er 3.44-3.57
Te 0.3821 0.3821 0.8538  4 Er 3.11-3.17, 1 Y 3.11
Te 0.6179 0.6179 0.1462  4 Er 3.11-3.17, 1 Y 3.11

Output
**Crystal system**: trigonal
**Energy relative to the elements, uncorrected**: -0.473 eV per atom
**M_tot**: 0.00 μB/cell

(2)
## Y2ErTe (GGA-PBE)

Data for crystalline Y2ErTe at its relaxed geometry.

Lattice parameters (Å, degrees): 3.8886 3.8886 9.9546 78.74 78.74 60.00
Last column: nearest neighbours and their distance in Å.
Element x y z (fractional)
Te 0.6666 0.6666 0.0000  6 Y 3.08
Y 0.2609 0.2609 0.2172  3 Te 3.08
Y 0.0726 0.0726 0.7821  3 Te 3.08
Er 0.4998 0.4998 0.5007  6 Y 3.53-3.55, 6 Er 3.89

Output
+++

An Election Stolen by Computer Rigging? Again? - by Gary North (Electoral fraud is as old as voting - with computers it is MAGNIFIED - PERFECTLY! - CL)

Remnant Review

We are watching something wonderful. I don't mean the theft. I mean the awareness of Trump's supporters of the theft. They are not going to forget in 2024.

They are not going to go away, either.

If as few as 1/10 of 1% of them are so ticked off that they get involved on a permanent basis in precinct politics in the Republican Party, they are going to take back the Republican Party. That has not happened since 1924.

Let's review some ancient history.


In 1992, a book by James and Kenneth Collier was published: Votescam: The Stealing of America. The background to this book is this. It began in 1970, when Kenneth ran against Congressman Claude "Red" Pepper in Dade County, Florida. Here is a summary.

In 1970, Ken ran for Congressman in Dade County, Florida against the then-representative Claude Pepper. The Colliers became interested in the projections by television networks, particularly in how they were incredibly accurate. When the computers malfunctioned and shut off for some time, Ken had lost 15 percentage points. The networks claimed that the courthouse computer malfunctioned, which caused them to lose access to the official voting tally. This claim was proved false by the Dade County data processing chief, who asserted that the county computer had never been down or slowed.

As they researched further, they found that the official results released by the Secretary of State's office for the September primary, October runoff, and November final vote were mathematically impossible. For the governor's race and the senate race in Florida, an identical number of votes had been cast in all three elections.

The Colliers then found that one of the local news stations had predicted with almost complete accuracy the results of 40 elections with 250 candidates four minutes after the polls closed. Another station predicted, accurately, the vote total at 96,499. The networks claimed the accuracy came from a formula programmed by an employee at the University of Miami, Elton Davis. When the brothers approached Davis to question about the suspicious perfection of his formula, he allegedly responded, "You'll never prove it, now get out."

Because members of the League of Women Voters were reported to have called in votes on election night in November, the brothers also approached the head of the League, Joyce Deiffenderfer, who admitted there were no League members in the field that night. She began crying and said, "I don't want to get caught up in this thing."

This interview took place in 1996. James says the 1970 election was a trial run for computer vote theft.

This is on Bitchute. The video was pulled from YouTube.

(Link to website below for video.)

Whoever produced the video put in background music during the interview. This was silly. The first minute of the video is music only. Bear with it.

You can buy the book on Kindle for $11.


In 1996, Pat Buchanan had his Republican victory stolen from him in Arizona. The Republican establishment wanted the boring but safe Senator Bob Dole nominated. It was obvious that Dole would lose to Clinton. That did not matter to the Republican establishment.

Condit's article described how this theft was conducted. Sadly, the article is not available on the Chronicles site. I searched for it. I could not find it. Happily, another site did post it here. Print it out. Read it carefully. Learn how establishment politics works.

Condit called me in the spring of 2000. He feared that there would be an attempt by the Democrats to steal the election in November. He was correct. (I had about forgotten this call, but I came across Condit's report on our discussion. You can read it here.)


This was posted in November 2006. This is testimony before the House Judiciary Committee. The meeting was held in Ohio. The speaker was Clinton Curtis. He was testifying about the election of 2000.

He later became a politician. He has repeatedly and unsuccessfully run for Congress. He got the Democrats' nomination this year in a traditionally safe Republican district in Florida. He was soundly defeated.

Twenty years ago in November, no one knew who had been elected President. It all came down to the Secretary of State in Florida, Katherine Harris. She was a Republican. She had to certify the winner in Florida's recount: Gore or Bush. She declared for Bush. He was ahead by 537 votes. That decision went to the Supreme Court, which upheld her decision.

On November 23, I mailed a copy of Reality Check to my 35,000 subscribers. I posted it on September 9, 2005, the first year of this site. You need to read it.



In this letter, I attempt to kill several birds with one digital stone.

First, for subscribers to REMNANT REVIEW, a warning: your December 1 issue may arrive late. I need to wait until Monday morning to find out who unofficially won in Florida. Then I have to write the issue. Then it has to be printed. It may not get mailed on Friday, December 1. If not, this will be only the second time in over 26 years that I mailed it out late. This election has created major problems for us paper-based newsletter writers. I love the Internet!

Second, I wanted all of you to read my essay on the economics of Thanksgiving. It was published on Lew Rockwell's site on Wednesday. For over twenty years, I had intended to write this essay, but I never remembered until Thanksgiving week, and then it was too late to submit it to a magazine (probably THE FREEMAN). Then I would forget all about it until the following November. Again, hooray for the Internet -- specifically, the World Wide Web. I wrote this on Tuesday, and it was on-line on Wednesday. What a great technology for communicating unconventional ideas!

Third, I want to comment on an e-mail that I received, as well as a reply to my comment on this e-mail. I do not vouch for its accuracy. Nevertheless, the information does not surprise me. It should be verified before we do anything about it. But if it's true, it goes beyond mere moral outrage. It's criminal. First, the e-mail, which I received on Wednesday, November 22.

Date: Wed, 22 Nov 2000 07:40:10 -0600
Sent: Monday, November 20, 2000 7:33 AM
Subject: Fw: urgent prayer for florida secretary of state

Please fast and pray Monday for Katherine Harris-Secretary of State-Florida. She is a born-again Christian. Katherine Harris is the sister of Wes King's wife. He is a local Christian artist. Secretary Harris has received hundreds of death threats and has been moved to a safe house. Furthermore she is scheduled to be further harmed by the media.

Secretary Harris believes she has been placed in this spot for "such a time as this". Members of the family have asked that we pray and fast as in Queen Esther's day.

This is a model of what an impersonal e-mail letter should be: a good headline, short and to the point. Then it presents important, immediately relevant news. It also suggests specific action to take.

If the story of the death threats is true, then the news media are covering up a story that would be a front-page sensation -- a way to increase sales or viewers. It is such a huge story that even if it isn't true, it should be covered and shown to be false. Either this letter is completely false or else the news media know how damaging this report would be for the Democrats.

Mrs. Harris is no dummy who just fell off the orange juice wagon. She has an MA from Harvard University.

She happens to be a Republican. But if death threats are involved, it doesn't matter what party she belongs to. Death threats are a form of assault -- a felony.

So, after I received this e-mail, I sent a reply. Obviously, either there is a media cover-up or else the information is grotesquely false. But it doesn't sound false. So, I made a very brief reply:

If the death threats figure can be verified, she should be interviewed by CBN. The news contact is Drew Parkhill.

CBN is Pat Robertson's Christian Broadcasting Network. That would seem to be the appropriate media outlet for a woman who is a Christian, who is under assault, and whose plight is being ignored by the establishment media.

There were several people on the recipients' list. So, I clicked the "Reply All" button instead of the "Reply" button. I figured there might be more likelihood of getting media access if more than one person got this information.

Within a few minutes, I got this reply:

I am a Christian but not a Republican. I will pray for protection for the woman, but please take me off your list. I vote for a man not join a sect. Thank you. [name]

She will pray for "the woman." Not for "Mrs. Harris." Not for "the Secretary of State." No. The woman.

Think about this. The original letter said that a Christian who is an elected civil magistrate has received hundreds of death threats. There was no reference to politics. There was no reference to her political affiliation. There was a call for prayer on her behalf.

My letter mentioned only that there is a media outlet available for her to tell her story. I gave the name of the proper contact person.

What did this make me? First, a Republican. O, shame of shames! Second, a partisan! Third, a sect member! (Presbyterianism: a traditional, liturgically middle-of- the-road sect.)

The fact is, I sent my political money this year to Howard Phillips' U.S. Constitution Party. Politically, I am indeed a sectarian. But not ecclesiastically.

The gutlessness of this non-Republican's letter is appalling. But it's not just the gutlessness that bothers me. It is the intense political partisanship, disguised as an attack on partisanship. She made it clear: an elected Republican office-holder who is being threatened with death deserves a prayer, but anything more is just not part of God's Plan for the Ages. It would be . . . partisan!

Too many Americans decide who deserves protection and respect in terms of which political affiliation they profess. Political partisanship has overcome the concept of the rule of law. "Tell me what party a person belongs to, and I'll tell you whether he (or she) deserves the protection afforded by civil law."

It's Gore or be Gored. Whose ox is it? "Yours or mine?" This determines which laws some people are willing to enforce or respect. Especially in Florida.

Has her family called for prayer? I did my best to check this out. I went onto the Web and found Wes King's biography. Then I called his church. The pastor was gone for Thanksgiving. His assistant tried to call Mr. King to verify this story. He was not home. People leave for Thanksgiving, so verifying things is not easy. So, I'm sending out the message as sent. Because of the holiday, I think this is best. Normally, I would wait, but her problem sounds too serious.

Fourth, this election is crooked. So? They are always crooked. They are just not equally crooked. The voters know this. They rarely care. They shrug it off. Usually, the votes are not very close, so voters ignore the fact that the system is rigged.

They are now re-counting ballots by hand. This is bad, say Republicans. Very bad. Just terrible. "We should trust the computers!" Those Republicans who believe this need to go to the library and get a copy of the November 1996 issue of CHRONICLES OF CULTURE, published by the Rockford Institute. Read article titled, "A House Without Doors: Vote Fraud in America," by James J. Condit, Jr. It appears on pages 14-17. In it, Condit argues -- with evidence -- that the Republican Party's mainstream faction stole the 1996 nomination from Pat Buchanan, and did it by rigging the computers that were used in the primaries. The turning point came in the Arizona primary. You will also learn some choice things about the company that takes the TV networks' exit polls every four years. Oh, boy.

CHRONICLES says it will put up a link to a PDF file of that article on its front page next week. I hope they do this. Go to:

Bush failed to win the election two weeks ago because the TV networks announced that Gore had won Florida. This announcement came while the polls were still open in the Florida panhandle's counties. Those counties all went for Bush. But half-committed Republicans, who wanted to vote only for an assured winner, either went home or stayed home. Those voters cost Bush the initial victory. He may or may not be elected.

Rigged? Here is one version of the rigging, told by a statistician. This is a story that the media will never pick up. It has to do with fingerprints. Literally. The re-count hoopla was not initially about Dade County and Broward County voters. It was about certain Palm Beach County ballots. It was about how to get a whole lot of new people to pick up these ballots and put their fingerprints on them. I love a good conspiracy theory. This one is a corker.

A quarter century ago, Adam Osborne wrote a terrific little book, RUNNING WILD. Osborne later invented the first portable computer, the Osborne 1. He made one catastrophic error. He adopted the CP/M operating system. It was hard to use. His company went broke. The next year, Compaq came out with a portable, Microsoft DOS-based portable. Compaq became the first company in history to generate one billion dollars in revenues in its first year. But Osborne is a smart man. His is the name on the Osborne/McGraw-Hill publishing company.

In RUNNING WILD, he offered a warning. Do not computerize three institutions, he said: the New York Stock Exchange, the banking system, and voting. If these become dependent on computers, there will be fraud. It will be very hard to detect.

In 2000, the Presidential election was so close that the existence of computer fraud almost became visible. Not quite, however, if the story in is true. There is a game going on -- a high-stakes game. It has implications beyond this year's winner. What we are seeing is the legitimization of normal voting machine fraud. Here is how the game works. "Look, look -- over here! See these ballots? Count them by hand!" But why? "Because they are the 'true' votes." But what about computer voting in general? "That produces the 'true' votes when an election is not close."

Nobody has raised the crucial questions: "How do we know that the computers were not rigged to begin with? How do we know that the punching of computerized ballots was not done illegally?" No one is raising the issue of pre- count computerized voting fraud. Why not? Because that would call the whole election system into question. It might undermine the legitimacy of the political system. We do not admit what we all know. That might undermine the system. Better to amuse ourselves with illusions we all know are illusions. They are convenient illusions.

If you think I am exaggerating, read that November 1996 issue of CHRONICLES.

Fifth, if Republican incumbent Slade Gorton loses in Washington State, the Senate will be evenly divided: 50 to 50. At that point, Lieberman will become the tie-breaking voter as VP if Gore wins. Then, when Strom Thurmond goes to his reward, it's 51-49 for the Democrats. If Gorton wins, it's 51-49 for the Republicans until Thurmond dies. Then it's 50-50. So, whoever is elected as VP will spend a lot of time in the Senate, listening to boring speeches, unable to leave the room. At that point, former Vice President (1933-1941) John Nance Garner's statement will become obvious to the new VP: "The Vice Presidency isn't worth a bucket of warm spit." Or words to that effect.

Well, that's enough to chew on for Thanksgiving. Enjoy your turkey. Watch a football game. And say a prayer for Mrs. Harris.



We are watching an historic election unfold. I have no doubt that the Democrats have stolen it. They will probably pull off this heist. But now, for the first time in my lifetime, tens of millions of pro-Trump voters are going to be aware of the fact.

Always in the past, the media have ignored what was going on. Always in the past, Republican voters have meekly accepted the results of the national election. They then returned to their non-political lives. This time, some of them are not going to go away meekly, blaming themselves for not having turned out the vote. This time, it's different. This time, the theft is visible to really outraged Republicans who at long last will figure out what happened to them.

If this mobilizes a tiny cadre of Republican conservatives to get involved in local politics, and then stay involved, this is going to change the Republican Party. They must learn the basics of precinct politics within the Party. Then they must begin to offer hard-core candidates who are willing to take a stand against the establishment Republicans who dominate the party.

## Inserted here: materials data
┌──
The following is a GGA-PBEsol calculation of an optimized crystal structure of RuPtAu3, from Alexandria via LeMat-Bulk.

Cell: 4.9100 4.9100 4.9100 Å, 90.00 90.00 90.00°
With the nearest neighbours (Å) after each atom.
Fractional positions:
Ru 0.0000 0.0000 0.0000  12 Au 3.47
Pt 0.5000 0.5000 0.5000  6 Au 2.45
Au 0.0000 0.5000 0.5000  2 Pt 2.45
Au 0.5000 0.0000 0.5000  2 Pt 2.45
Au 0.5000 0.5000 0.0000  2 Pt 2.45

- V: 23.67 A^3/atom
- Calculated total energy: -20.360 eV per cell
- Magnetic moment: 3.2 μB/f.u.


The following is a GGA-PBEsol calculation of an optimized crystal structure of RuPt4Au, from Alexandria via LeMat-Bulk.

Cell: 5.1691 5.1691 5.1691 Å, 60.00 60.00 60.00°
With the nearest neighbours (Å) after each atom.
Fractional positions:
Ru 0.0000 0.0000 0.0000  12 Pt 3.03, 4 Au 3.17
Pt 0.1249 0.6250 0.6250  6 Pt 2.58-2.59
Pt 0.6250 0.1249 0.6250  6 Pt 2.58-2.59
Pt 0.6250 0.6250 0.1249  6 Pt 2.58-2.59
Pt 0.6250 0.6250 0.6250  6 Pt 2.58-2.59
Au 0.2500 0.2500 0.2500  12 Pt 3.03, 4 Ru 3.17

- V: 16.28 A^3/atom
- Calculated total energy: -39.340 eV per cell
- Magnetic moment: 3.2 μB/f.u.


The following is a GGA-PBEsol calculation of an optimized crystal structure of RuPt2Au, from Alexandria via LeMat-Bulk.

Cell: 2.7538 2.7538 7.9282 Å, 90.00 90.00 90.00°
With the nearest neighbours (Å) after each atom.
Fractional positions:
Ru 0.0000 0.0000 0.0000  8 Pt 2.67, 4 Ru 2.75
Pt 0.5000 0.5000 0.2306  4 Ru 2.67, 4 Pt 2.75, 4 Au 2.89
Pt 0.5000 0.5000 0.7694  4 Ru 2.67, 4 Pt 2.75, 4 Au 2.89
Au 0.0000 0.0000 0.5000  4 Au 2.75, 8 Pt 2.89

- V: 15.03 A^3/atom
- Energy above the lowest structure with this stoichiometry: 0.0 meV/atom
- Calculated total energy: -27.874 eV per cell
- Magnetic moment: 0.0 μB/f.u.


The following is a GGA-PBEsol calculation of an optimized crystal structure of Ru2PtAu, from Alexandria via LeMat-Bulk.

Cell: 4.3748 4.3748 4.3748 Å, 60.00 60.00 60.00°
With the nearest neighbours (Å) after each atom.
Fractional positions:
Ru 0.2500 0.2500 0.2500  4 Au 2.68, 4 Pt 2.68
Ru 0.7500 0.7500 0.7500  4 Au 2.68, 4 Pt 2.68
Pt 0.0000 0.0000 0.0000  8 Ru 2.68
Au 0.5000 0.5000 0.5000  8 Ru 2.68

- V: 14.80 A^3/atom
- Calculated total energy: -29.151 eV per cell
- Magnetic moment: 0.0 μB/f.u.


The following is a GGA-PBEsol calculation of an optimized crystal structure of RuPt2Au, from Alexandria via LeMat-Bulk.

Cell: 9.2500 9.2500 9.2500 Å, 17.15 17.15 17.15°
With the nearest neighbours (Å) after each atom.
Fractional positions:
Ru 0.0000 0.0000 0.0000  6 Pt 2.68, 6 Ru 2.76
Pt 0.2546 0.2546 0.2546  3 Ru 2.68, 6 Pt 2.76, 3 Au 2.88
Pt 0.7454 0.7454 0.7454  3 Ru 2.68, 6 Pt 2.76, 3 Au 2.88
Au 0.5000 0.5000 0.5000  6 Au 2.76, 6 Pt 2.88

- V: 15.02 A^3/atom
- Energy above the lowest structure with this stoichiometry: 21.8 meV/atom
- Calculated total energy: -27.787 eV per cell
- Magnetic moment: 0.0 μB/f.u.


The following is a GGA-PBEsol calculation of an optimized crystal structure of SbPt2Au, from Alexandria via LeMat-Bulk.
└──

This could become a historic turning point for the Republican Party. I certainly hope it does.